Monday, April 26, 2010

The One the Only: Clint Eastwood

Seriously, could he be more adorable?

A little closer to the Dirty Harry era

And still so so so awesome.

Here is a fantastic article about Clint.

Here is an interview Clint did with Ellen.

Wednesday, April 21, 2010

What comes next are molecular data, not part of the page:
DFT (wB97M-V/def2-TZVPD) results for 2 unconnected molecules or ions with the total composition C7H13NO in a non-equilibrium geometry.

The value obtained for the max |F| is 0.065 Eh/bohr. Its LUMO energy is 0.70 eV. The SMILES is C=CC(=C)O.CC(C)=N. As for the relative energy (zero: lowest compared OMol25 entry of this formula, charge and spin): 234.5 kJ/mol. The value obtained for the HOMO-LUMO gap is 9.366 eV.

Last column: natural (NBO) charge in e.
Positions of all 22 atoms, in Å:
C: -1.005 -0.580 1.529  -0.68
C: -1.965 1.176 -0.059  -0.69
C: -1.350 -0.261 0.103  0.37
N: -1.601 -1.206 -0.710  -0.70
H: -2.157 -0.939 -1.523  0.34
H: -1.890 -0.494 2.161  0.23
H: -0.622 -1.596 1.597  0.23
H: -0.255 0.120 1.893  0.22
H: -1.245 1.957 0.179  0.23
H: -2.763 1.258 0.669  0.22
H: -2.364 1.323 -1.056  0.21
C: 1.050 -0.011 -0.992  0.27
C: 1.830 -0.866 -0.089  -0.25
C: 1.008 1.341 -0.917  -0.46
C: 2.686 -0.459 0.841  -0.35
O: 0.678 -0.597 -2.177  -0.69
H: 0.264 -1.451 -1.961  0.49
H: 1.605 -1.926 -0.182  0.21
H: 1.401 1.871 -0.070  0.20
H: 0.616 1.915 -1.737  0.21
H: 2.954 0.579 0.965  0.19
H: 3.124 -1.156 1.538  0.20

=====

# 1
{
  "formula": "C34H32I2IrN4O10P2",
  "method": "wB97M-V/def2-TZVPD",
  "symbols": ["Ir", "C", "C", "C", "C", "C", "C", "C", "C", "N", "C", "O", "C", "C", "C", "C", "C", "N", "C", "O", "N", "C", "C", "C", "C", "C", "C", "C", "C", "H", "H", "H", "H", "H", "H", "H", "H", "H", "H", "H", "H", "H", "H", "H", "H", "H", "H", "H", "H", "H", "C", "C", "O", "P", "O", "O", "O", "P", "O", "O", "O", "H", "H", "H", "H", "H", "H", "H", "I", "C", "C", "C", "I", "C", "C", "C", "C", "N", "C", "C", "O", "H", "H", "H", "H"],

Monday, April 19, 2010

Random updates and thoughts and so on and so forth without rhyme or reason:

Hall and Oates’ “Rich Girl” has quickly become one of my favourite guilty-pleasure songs.

Howie the Havanese (new family puppy) is so so so fantastic. I love him. Here’s me and my new furry friend:

Gatlin and Brighid return home this week – entirely awesome.My Brother and his new friend Che

Brighid being so cute I want to end it all. Gilly...

The more time I spend downtown, the more time I want to spend downtown.

I started making jewelry somewhat similar to Estsy’s Bloom line. Not as cool…but I’m trying.

It is sinking in that soon I will be living in a different province/country from 4 of my closest friends. Meg’s in Ontario, Sam’s in Sask, Tannis is in Manitoba, and Michelle is moving to Portland. A warning to my local friends: prepare yourself for a needier than normal whitney come fall.

My commute has become enjoyable only thanks to the 1000 dollar minute. Now they just need to take my call.

My amazing little sister Jalen is doing really well Health-wise. She also looks fantastic – In fact, I am going to attempt to ride on her trendiness-coattails. Wish me luck. Here she is in all her awesomeness:

_Quantum chemistry results that have nothing to do with the article_
'''
40 unconnected molecules or ions with the total composition H80O40 in a non-equilibrium geometry, computed with wB97M-V/def2-TZVPD.

Geometry as XYZ:
```
120
Properties=species:S:1:pos:R:3:forces:R:3
H 0.899 0.446 -3.639 0.094 -0.385 -0.035
H -0.649 2.613 -4.479 1.898 -1.467 -0.910
H -0.350 -3.628 2.130 0.729 2.614 3.781
H 1.798 -0.692 0.815 -1.570 -0.993 1.360
H 4.355 3.636 -3.682 1.226 -0.077 0.496
H 0.388 1.232 2.721 2.356 -3.296 2.270
O 4.699 2.582 -1.792 0.599 -4.077 -1.019
H 2.790 3.146 -2.228 -0.797 -0.978 1.718
H -0.095 5.029 -0.236 0.125 5.485 -1.952
H 6.194 -2.848 0.882 2.539 0.215 -2.309
O 2.783 3.633 2.397 -0.411 -0.665 3.237
O 5.356 -3.008 1.214 -2.096 -1.110 -0.412
H -3.829 0.621 3.061 6.668 -2.537 -7.702
H 0.839 -2.847 6.388 0.525 -1.564 0.946
O -4.523 -2.495 -3.382 -2.764 4.116 -1.338
O 0.596 -1.236 -0.757 -0.155 -0.129 -1.302
H 0.569 1.745 0.740 1.613 -1.759 -2.218
H -3.209 -2.205 -1.296 1.316 -5.037 -4.246
H 4.834 2.628 -0.870 0.301 0.784 1.899
H 3.671 1.515 1.114 -0.349 -2.915 -2.043
H -1.810 -0.375 2.286 -3.064 -0.495 -2.041
H 0.735 -0.809 -1.640 0.323 -0.627 0.399
O 2.220 3.215 -1.352 1.129 1.509 -2.335
O -2.718 -5.311 0.096 -3.021 2.012 1.506
O -1.784 -2.073 3.925 -0.287 -2.305 1.106
H 3.994 -2.410 -5.027 0.539 -0.801 -1.265
O -5.261 1.594 0.748 -1.589 0.419 -1.305
H -1.356 2.222 -0.951 -0.014 -0.116 0.655
O 2.017 1.044 6.119 1.207 0.172 -0.295
H -3.630 -2.037 0.102 0.655 1.109 -1.713
H 3.219 0.005 0.730 -0.502 -0.718 1.114
H -2.173 -6.061 0.327 -0.098 -0.120 0.776
O -0.521 -4.036 1.353 -2.118 -0.237 -6.386
O -3.817 -4.086 2.867 4.636 4.391 2.614
O -0.020 4.196 0.026 3.121 -6.914 1.472
O -1.457 2.168 0.016 -0.112 0.440 0.120
H 4.686 -2.206 -3.560 -3.378 0.708 -2.421
H 0.051 -0.502 -0.456 -0.087 0.192 0.811
O -0.090 1.841 2.285 2.785 5.441 -1.871
O -4.376 0.785 3.669 -8.743 2.226 7.370
H 1.247 0.539 6.428 1.337 -0.455 0.286
H -0.264 -1.399 -6.062 0.304 1.879 1.692
H -6.219 -1.651 -0.770 -0.853 0.560 0.200
H 3.966 -5.334 -1.447 0.099 0.365 -0.509
H -0.699 3.447 -3.097 0.500 -0.468 -0.188
O 3.671 0.747 0.392 1.996 3.826 1.075
O 3.821 -2.032 -4.190 2.577 0.353 3.686
H -2.232 -3.859 -2.464 1.038 0.208 -0.149
H 2.725 3.658 1.496 0.404 0.529 -4.143
H -3.262 3.176 3.332 0.646 0.188 -3.995
H -3.998 -2.228 -2.654 0.424 -0.388 0.125
O 3.668 -4.558 -1.956 1.700 -1.283 -1.344
O 0.412 5.515 3.273 -0.768 2.928 -1.548
H -4.836 0.622 -3.579 -6.670 -0.760 -8.827
O 1.336 5.789 -2.582 1.970 6.557 8.626
H 0.883 1.544 -2.583 -0.433 -1.715 0.140
H -1.359 0.015 4.865 -0.670 0.361 0.469
O -1.116 3.168 -3.916 -2.263 2.169 1.212
O 3.413 3.597 -3.691 -1.044 0.953 -0.196
H 0.835 4.830 3.692 1.403 -2.487 1.571
H -3.388 -5.002 0.874 2.770 -1.804 -2.471
H 2.865 -0.246 -4.331 0.105 -1.658 -0.928
O -3.324 -1.547 -0.739 -1.644 3.645 6.530
O -4.326 0.667 -2.926 4.729 -0.140 12.060
H 3.223 3.148 -4.499 -0.369 -0.582 -0.816
O 2.736 0.680 -4.239 -0.923 3.876 -1.006
O 1.515 -0.946 1.757 0.575 -0.082 -0.565
H -2.481 1.885 -4.414 -0.858 -0.934 -1.373
'''

My husband is the hardest studying person I know – I’m questioning whether or not he is in fact a human. He is leaving for Texas in 2 weeks to complete his training. I will miss him. A lot. The only thing keeping me sane is knowing he’ll return as my even hunkier fireman husband. That’s worth months of training and a few weeks apart I’d say. Can you imagine him being hunkier than this?

Meg is coming in June. Wonderfulness will ensue. She is awesome, and so is her Card-making business - all a product of her beautiful photo-taking.
Two Tall Trees

I have a purse problem lately. Oh yes, and shoes. Oh yes, and clothing in general.

I have a very exciting secret/project in the works. Stay tuned for details. No it is not baby-related.

There is a possibility that our family will head to Nova Scotia this fall. Here’s hoping.

## Data records that have nothing to do with the page
'''
The following is a DFT calculation (the ωB97M-V functional and the def2-TZVPD basis) of a molecular structure, C9H37MgN2O13 in a non-equilibrium geometry.

Atoms and positions in Å:
Mg 1.72 -3.23 -0.64
O -3.05 -2.06 -3.17
O -0.07 -2.33 -0.37
O -2.21 -2.20 -0.35
O -1.30 0.09 2.67
O 1.32 -4.77 0.62
O -0.60 -5.15 2.63
O -1.10 -2.53 1.48
O -4.93 -2.54 1.06
O 2.38 -1.64 -1.75
O 2.56 -2.22 0.85
O -0.70 1.58 -0.32
O -3.15 -5.32 0.39
O 0.89 -4.25 -2.12
N -1.17 -2.32 0.26
N 0.18 2.56 0.18
C 2.44 3.32 0.48
C 1.82 2.13 -1.67
C -0.45 3.89 -0.01
C 1.93 4.72 0.12
C -1.68 3.91 0.89
C 0.50 4.93 0.53
C -0.85 4.17 -1.48
C 1.56 2.25 -0.15
C 1.90 0.89 0.47
H -0.33 5.07 -1.84
H -1.91 4.40 -1.59
H -3.34 -4.45 0.02
H 1.19 0.12 0.15
H 1.85 -1.23 -2.46
H -3.99 -2.55 0.81
H -2.34 -2.55 -3.59
H 1.67 -4.77 1.52
H 1.22 1.33 -2.11
H 2.93 0.61 0.18
H -2.50 3.33 0.49
H 2.60 5.46 0.58
H -1.36 -0.85 2.45
H -5.10 -1.64 1.34
H -0.55 3.38 -2.16
H 2.70 -2.56 1.74
H 0.42 4.89 1.62
H 3.46 3.21 0.09
H 2.07 4.91 -0.95
H 2.88 1.95 -1.87
H 1.49 -4.51 -2.84
H 2.53 -1.24 0.94
H 1.59 3.07 -2.16
H -0.62 -4.21 2.43
'''

I have become a blog-reading-nut. Here are the current faves:

The Pioneer Woman
The Lettered Cottage
Young House Love
Ann Taintor
Casa Sugar
Fab Sugar

I'm quite aware that I need to actually get my life together and start taking pictures/blogging/etc.

This quote best describes my current state: “The years just flow by like a broken down dam.” –John Prine, Angel from Montgomery

I’m happy, but frazzled. Perhaps more melancholy than normal these days – but I assure you, for reasons I cannot yet disclose, change is a-comin’.

Thursday, April 15, 2010

My Wrigley

Shy, affectionate, curious and always pretty: Wrigley.

We got her for free in Estevan, Saskatchewan. She moved with us...twice(once across 2 provinces) and rarely misbehaved. Wrigley was almost 2 years old. She died on Tuesday.

She was my kitty, and I loved her very much.